
Taxes are fungible and if you think that gas taxes magically go to road maintenance and aren't used for anything else I suggest you read up more on how government works. Electric car owners also pay sales taxes and registration just like everyone else.

I didn't realize getting a better job with a WEC team was "retiring."

Welcome to every new hatchback, where the end is pinched to increase safety at the expense of visibility because reasons. Some rear glass seems to be there purely as an afterthought because rear cameras are still to expensive for econoboxes.

Headline: Slippery wiener gets cold shoulder

I would like to know what flight you were on where mobile service reached the plane. I'd also like to know the correlation between texting and anxiety about flight. Lastly I'd like to know why you didn't alert an attendant instantly.

So if the STI gets a 2.5, what are the chances it's just the same old EJ257 tarted up for a new car?

The race was the 1976 Swedish GP, and Tyrrell finished 30+ seconds ahead of Ferrari with 11 retirements through the race.

"Horacio Pagani, who arguably builds a direct competitor to the P1, was right when he said that the P1 is missing the emotion you expect from it." Edited for clarity. I don't care what Ferrari thinks of the P1, either. Of course Pagani is going to be critical. His bias negates his opinion on the subject.

I'd like to assume so but they're so different no one has even made a conversion plate for them. Hopefully Subaru gets their act together and makes a new 5MT and 6MT that does fit (or pays someone else to make one).

The existing 5MT and 6MT don't even mate up to the new XT's engine. They would have to use the Aisin transmission the BRZ uses which would fly apart in a hot minute.

It could be worse. They could give the turbo model a CVT only because their manual transmission is a crappy off-the-shelf model that they don't trust to handle the torque their engine puts out.

(Next to the page, the page also holds materials data)
'''
Record 1
This entry pairs a crystal structure of Na10B17C3 with its simulated powder X-ray diffraction pattern. Radiation: λ = 1.5418 Å (Cu Kα). Structure: a crystal structure in Alexandria, relaxed with PBE.
Lines closer than 0.1° are merged.

Largest 10 diffraction maxima, in order of falling intensity, 10 to 90 degrees two-theta:
2θ/deg, I (rel.), h k l
40.96, 100, 1 0 10
41.97, 24, 0 0 20
34.99, 20, 1 0 0
62.75, 18, 1 1 0
78.38, 17, 1 1 20
75.99, 12, 1 0 30
77.70, 12, 2 0 10
55.75, 10, 1 0 20
73.91, 2, 2 0 0
88.82, 2, 2 0 20

```
data_Na10B17C3
_chemical_formula_sum 'Na10 B17 C3'
_symmetry_space_group_name_H-M 'P -6 m 2'
_symmetry_Int_Tables_number 187
_symmetry_space_group_name_Hall 'P -6 2'
_cell_length_a 2.9614
_cell_length_b 2.9614
_cell_length_c 43.0543
_cell_angle_alpha 90.00
_cell_angle_beta 90.00
_cell_angle_gamma 120.00
loop_
_atom_site_label
_atom_site_fract_x
_atom_site_fract_y
_atom_site_fract_z
Na1 0.0000 0.0000 0.0491
Na2 0.0000 0.0000 0.1501
Na3 0.0000 0.0000 0.2511
Na4 0.0000 0.0000 0.3490
Na5 0.0000 0.0000 0.4495
B1 0.3333 0.6667 0.0995
B2 0.3333 0.6667 0.2007
B3 0.3333 0.6667 0.3001
B4 0.3333 0.6667 0.3993
B5 0.3333 0.6667 0.5000
B6 0.6667 0.3333 0.0000
B7 0.6667 0.3333 0.0995
B8 0.6667 0.3333 0.2007
B9 0.6667 0.3333 0.3993
B10 0.6667 0.3333 0.5000
C1 0.3333 0.6667 0.0000
C2 0.6667 0.3333 0.3001
```

Record 2
This entry pairs a crystal structure of Na10B17C3 with its simulated powder X-ray diffraction pattern. Radiation: λ = 1.5418 Å (Cu Kα). Structure: a crystal structure in Alexandria, relaxed with PBE.
Lines closer than 0.1° are merged.

Largest 10 diffraction maxima, in order of falling intensity, 10 to 90 degrees two-theta:
2θ/deg, I (rel.), h k l
41.74, 100, 2 1 5
39.59, 50, 2 0 10
41.59, 37, 4 0 0
61.55, 18, 0 1 15
77.04, 17, 4 1 15
35.99, 17, 0 1 5
33.53, 14, 0 0 10
75.99, 13, 6 1 5
56.14, 10, 4 1 5
80.00, 9, 2 2 10

```
data_Na10B17C3
_chemical_formula_sum 'Na20 B34 C6'
_symmetry_space_group_name_H-M 'A m m 2'
_symmetry_Int_Tables_number 38
_symmetry_space_group_name_Hall 'A 2 -2'
_cell_length_a 8.6867
_cell_length_b 2.8221
_cell_length_c 26.7265
_cell_angle_alpha 90.00
_cell_angle_beta 90.00
_cell_angle_gamma 90.00
loop_
_atom_site_label
_atom_site_fract_x
_atom_site_fract_y
_atom_site_fract_z
Na1 0.2475 0.0000 0.0000
Na2 0.2493 0.0000 0.5986
Na3 0.2501 0.0000 0.3991
Na4 0.2505 0.0000 0.7975
Na5 0.2529 0.0000 0.1974
B1 0.0000 0.0000 0.0709
B2 0.0000 0.0000 0.1361
B3 0.0000 0.0000 0.2635
B4 0.0000 0.0000 0.3258
B5 0.0000 0.0000 0.4692
B6 0.0000 0.0000 0.5330
B7 0.0000 0.0000 0.7240
B8 0.0000 0.0000 0.8668
B9 0.0000 0.0000 0.9294
B10 0.5000 0.0000 0.0659
B11 0.5000 0.0000 0.2647
B12 0.5000 0.0000 0.3287
B13 0.5000 0.0000 0.4765
B14 0.5000 0.0000 0.6572
B15 0.5000 0.0000 0.7243
B16 0.5000 0.0000 0.8719
B17 0.5000 0.0000 0.9348
C1 0.0000 0.0000 0.6655
C2 0.5000 0.0000 0.1269
C3 0.5000 0.0000 0.5351
```

Record 3
'''
(End of the materials data)

Ah, Links. I remember Links. Looks like you hit the tree, Jim! *sobs quietly over floppy disks*

Of COURSE they could have rolled the dice. It just wasn't politically wise to do so, especially with a huge special interest like the auto union breathing down the neck of a Democrat party that was on a roll.

On another side note, you can grow up with a real shitty childhood, get everything handed to you because of your amazing talent as an adult and still be an asshole.

The problem with diesels isn't that people in America associate them with shitty diesels from 30 years ago. Only Jalops and a few old fogey car people remember those. The problem is the high cost of fuel compared to petrol and the higher cost of diesel cars compared to their exact petrol counterparts. Doing the same

Here the entry breaks off for calculated crystals =
<<<
Simulated XRD peak list of LaZrBi3 for Cu Kα, 1.54184 Å, from a crystal structure in Alexandria, relaxed with PBE.
Lines closer than 0.1° are merged.

Top 10 peaks for 2θ from 10° to 90°, sorted by position:
(3 1 1), 26.9 deg, I 95.4; (1 0 2), 27.8 deg, I 29.4; (2 2 0), 29.6 deg, I 98.4; (2 0 2), 29.9 deg, I 83.8; (5 0 0), 31.9 deg, I 100.0; (3 0 2), 33.2 deg, I 26.6; (3 1 2), 35.9 deg, I 28.5; (0 2 2), 38.3 deg, I 73.8; (6 0 2), 47.7 deg, I 33.4; (2 4 2), 63.8 deg, I 34.2

Structural model:
```
20
Lattice="14.009 0.000 0.000 0.000 6.684 0.000 0.000 0.000 6.604" Properties=species:S:1:pos:R:3 pbc="T T T"
La 2.572 0.081 1.651
La 2.572 3.261 4.953
La 11.437 3.423 1.651
La 11.437 6.603 4.953
Zr 5.727 5.013 0.000
Zr 5.727 5.013 3.302
Zr 8.282 1.671 0.000
Zr 8.282 1.671 3.302
Bi 0.051 5.013 0.000
Bi 0.051 5.013 3.302
Bi 3.674 3.420 1.651
Bi 3.674 6.605 4.953
Bi 5.905 0.814 1.651
Bi 5.905 2.528 4.953
Bi 8.104 4.156 1.651
Bi 8.104 5.870 4.953
Bi 10.335 0.078 1.651
Bi 10.335 3.264 4.953
Bi 13.958 1.671 0.000
Bi 13.958 1.671 3.302
```

=====

[1]
Diffraction record for VNi2. The XRD peak list is calculated, not measured: it uses a DFT-relaxed cell (GGA-PBE, the Materials Project) and Cu Kα X-rays.

Largest 10 diffraction maxima, most intense first, 2θ from 10° to 90°:
index  2theta  d/Å  intensity
0 1 3  43.82  2.066  100
1 1 0  43.94  2.061  99
1 0 3  51.12  1.787  92
1 2 3  75.19  1.264  35
0 0 6  75.06  1.266  9
2 0 0  75.39  1.261  9
0 0 2  23.43  3.797  2
0 1 1  27.57  3.235  2
1 1 2  50.39  1.811  1
1 0 1  37.59  2.393  1

Cell and atoms:
```
data_VNi2
_space_group_name_H-M_alt 'I m m m'
_space_group_IT_number 71
_space_group_name_Hall '-I 2 2'
_cell_length_a 2.522
_cell_length_b 3.576
_cell_length_c 7.593
_cell_angle_alpha 90.00
_cell_angle_beta 90.00
_cell_angle_gamma 90.00
loop_
_atom_site_label
_atom_site_fract_x
_atom_site_fract_y
_atom_site_fract_z
_atom_site_occupancy
V1 0.000 0.000 0.000 1
Ni1 0.000 0.000 0.332 1
```

=====

[2]
Diffraction record for Te3Se. The XRD peak list is calculated, not measured: it uses a DFT-relaxed cell (GGA-PBE, the Materials Project) and Cu Kα X-rays.

Largest 10 diffraction maxima, most intense first, 2θ from 10° to 90°:
index  2theta  d/Å  intensity
2 0 1  33.57  2.669  100
2 0 0  26.18  3.404  32
2 2 0  46.20  1.965  27
4 0 1  58.31  1.582  20
2 2 2  64.20  1.451  20
4 2 1  77.44  1.232  17
0 0 2  42.00  2.151  12
2 0 3  71.37  1.322  11
2 0 2  50.17  1.818  11
4 0 3  89.34  1.097  6

Cell and atoms:
```
data_Te3Se
_space_group_name_H-M_alt 'P 63/m m c'
_space_group_IT_number 194
_space_group_name_Hall '-P 6c 2c'
_cell_length_a 7.8601
_cell_length_b 7.8601
_cell_length_c 4.3022
_cell_angle_alpha 90.00
_cell_angle_beta 90.00
_cell_angle_gamma 120.00
loop_
_atom_site_label
_atom_site_fract_x
_atom_site_fract_y
_atom_site_fract_z
_atom_site_occupancy
Te1 0.1713 0.3425 0.2500 1
Se1 0.3333 0.6667 0.7500 1
```

=====

Record 1
>>>

Having now been to COTA for that Six hour race I can see why the WEC chose it. It's much more spectator friendly and easier to get to than Sebring will ever be, and that's not even considering the facilities you have at COTA. Separating the ALMS and WEC races into two was a mistake, though. It should have been one

I believe this is what they call "old man strength" in the sports world.

This is a perfect example of the phrase "A lie can travel halfway around the world before the truth can put its shoes on." Zyodel spent a great deal of time refuting your assertions with actual, factual examples and all you can say in response is a poorly worded sentence fragment responding to his rhetorical question.

Honest, non-sarcastic, not-from-the-right question. If Pat Tillman had died of something else, say, a heart attack on the field during a Cardinals game due to a congenital disorder, would ASU's actions listed in this article be exploitative? That is to say, are their actions outside of Pat Tillman's untimely death and

Nonsense, Afroduck doesn't drive a YELLOW CAAAAAAAAAAAAAAAAAAAAR!